"Persecution" Tagged Sermons

The Frailty of Life

As difficulties arise each day, how are you dealing with them? Are you becoming overwhelmed by the stress and anxiety of contracting Covid-19? Has the racial tension across our great country caused uneasiness in you? Has isolation from interacting with people caused you to become despondent or depressed? Everyone is dealing with these things at least at some level. How are you doing? This morning, we’re going to divert from our study in 1 John to spend a few moments thinking about the frailty of life and how we are to respond to it. We’ll be looking today at the fourth chapter of Paul’s second letter to the Corinthian church as we consider a biblical response to the difficulties of our time.

Experiencing True Repentance and Its Effect

~~~
1.
Structure and simulated powder diffraction line list of TeO6 (a PBE-relaxed structure; Cu Kα (λ = 1.5418 Å)).
Kinematic intensities with the Lorentz-polarization factor, no thermal factor.

Largest 8 diffraction maxima, low angle first, 2θ from 10° to 80°:
- d 4.162, 2θ 21.4, I = 100
- d 3.604, 2θ 24.7, I = 33
- d 2.549, 2θ 35.2, I = 34
- d 2.173, 2θ 41.6, I = 59
- d 2.081, 2θ 43.5, I = 22
- d 1.654, 2θ 55.6, I = 22
- d 1.612, 2θ 57.1, I = 26
- d 1.218, 2θ 78.5, I = 17

Crystal structure
Cell lengths 10.1942, 10.1942, 10.1942 Å; angles 60.00, 60.00, 60.00 degrees
Fractional coordinates of all 56 atoms:
Te  0.0000  0.0000  0.0000
Te  0.0000  0.0000  0.5000
Te  0.0000  0.5000  0.0000
Te  0.0000  0.5000  0.5000
Te  0.5000  0.0000  0.0000
Te  0.5000  0.0000  0.5000
Te  0.5000  0.5000  0.0000
Te  0.5000  0.5000  0.5000
O  0.0144  0.2459  0.3297
O  0.0144  0.3297  0.9100
O  0.0144  0.9100  0.2459
O  0.0900  0.6703  0.7541
O  0.0900  0.7541  0.9856
O  0.0900  0.9856  0.6703
O  0.1703  0.2541  0.4856
O  0.1703  0.4856  0.5900
O  0.1703  0.5900  0.2541
O  0.2459  0.0144  0.9100
O  0.2459  0.3297  0.0144
O  0.2459  0.9100  0.3297
O  0.2541  0.1703  0.5900
O  0.2541  0.4856  0.1703
O  0.2541  0.5900  0.4856
O  0.3297  0.0144  0.2459
O  0.3297  0.2459  0.9100
O  0.3297  0.9100  0.0144
O  0.4100  0.5144  0.7459
O  0.4100  0.7459  0.8297
O  0.4100  0.8297  0.5144
O  0.4856  0.1703  0.2541
O  0.4856  0.2541  0.5900
O  0.4856  0.5900  0.1703
O  0.5144  0.4100  0.8297
O  0.5144  0.7459  0.4100
O  0.5144  0.8297  0.7459
O  0.5900  0.1703  0.4856
O  0.5900  0.2541  0.1703
O  0.5900  0.4856  0.2541
O  0.6703  0.0900  0.9856
O  0.6703  0.7541  0.0900
O  0.6703  0.9856  0.7541
O  0.7459  0.4100  0.5144
O  0.7459  0.5144  0.8297
O  0.7459  0.8297  0.4100
O  0.7541  0.0900  0.6703
O  0.7541  0.6703  0.9856
O  0.7541  0.9856  0.0900
O  0.8297  0.4100  0.7459
O  0.8297  0.5144  0.4100
O  0.8297  0.7459  0.5144
O  0.9100  0.0144  0.3297
O  0.9100  0.2459  0.0144
O  0.9100  0.3297  0.2459
O  0.9856  0.0900  0.7541
O  0.9856  0.6703  0.0900
O  0.9856  0.7541  0.6703

***

2.
Structure and simulated powder diffraction line list of CeZnAgP2 (a PBE-relaxed structure; Cu Kα (λ = 1.5418 Å)).
Kinematic intensities with the Lorentz-polarization factor, no thermal factor.

Largest 8 diffraction maxima, low angle first, 2θ from 10° to 80°:
- d 3.184, 2θ 28.0, I = 100
- d 2.464, 2θ 36.5, I = 66
- d 2.085, 2θ 43.4, I = 50
- d 1.744, 2θ 52.5, I = 17
- d 1.592, 2θ 57.9, I = 16
- d 1.528, 2θ 60.6, I = 30
- d 1.338, 2θ 70.4, I = 14
- d 1.265, 2θ 75.1, I = 15

Crystal structure
Cell lengths 4.1705, 4.1705, 6.7415 Å; angles 90.00, 90.00, 120.00 degrees
Fractional coordinates of all 5 atoms:
Ce  0.0000  0.0000  0.0000
Zn  0.3333  0.6667  0.6235
Ag  0.6667  0.3333  0.3571
P  0.3333  0.6667  0.2393
P  0.6667  0.3333  0.7453

***

3.
Structure and simulated powder diffraction line list of CsMg6AlO8 (a PBE-relaxed structure; Cu Kα (λ = 1.5418 Å)).
~~~

Paul and the believers in Ephesus were experiencing true repentance and its effects. True repentance always has an effect—on both the life of the one repenting and to all those around that one. This morning, we hope to examine some of these effects of repentance with the goal of challenging ourselves to experience true repentance…

The Rejuvenation of God’s Messenger

-- These calculated crystals were left in the page by mistake --
Entry 1:
Starting from a GGA-PBE-relaxed structure, the PXRD pattern of Np2BeTlO8 was simulated for a wavelength of 1.5418 Å.
Neutral-atom scattering factors, no anomalous dispersion.

Crystal structure
```
Np2BeTlO8
1.0
3.3966 -3.6843 0.0000
3.3966 3.6843 0.0000
-0.8027 0.0000 6.7351
Np Be Tl O
2 1 1 8
direct
0.0206 0.0206 0.2590 Np
0.9794 0.9794 0.7410 Np
0.5000 0.5000 0.5000 Be
0.5000 0.5000 0.0000 Tl
0.1745 0.8255 0.0000 O
0.1743 0.8257 0.5000 O
0.2818 0.2818 0.7559 O
0.3320 0.3320 0.3188 O
0.6680 0.6680 0.6812 O
0.7182 0.7182 0.2441 O
0.8255 0.1745 0.0000 O
0.8257 0.1743 0.5000 O
```

Principal peaks in the range 2θ = 10–80°, in order of rising 2θ:
d = 4.976 Å, rel. 55; d = 3.845 Å, rel. 32; d = 3.684 Å, rel. 100; d = 3.372 Å, rel. 84; d = 2.909 Å, rel. 93; d = 2.682 Å, rel. 61; d = 2.487 Å, rel. 65; d = 1.941 Å, rel. 39; d = 1.914 Å, rel. 36; d = 1.532 Å, rel. 32


Entry 2:
Starting from a GGA-PBE-relaxed structure, the PXRD pattern of Pr3CdCu8 was simulated for a wavelength of 1.5418 Å.
Neutral-atom scattering factors, no anomalous dispersion.

Crystal structure
```
Pr3CdCu8
1.0
2.6513 1.5307 8.6914
-2.6513 1.5307 8.6914
0.0000 -3.0615 8.6914
Pr Cd Cu
3 1 8
direct
0.0000 0.0000 0.0000 Pr
0.1255 0.1255 0.1255 Pr
0.5100 0.5100 0.5100 Pr
0.6325 0.6325 0.6325 Cd
0.0621 0.5671 0.5671 Cu
0.0724 0.0724 0.5600 Cu
0.0724 0.5600 0.0724 Cu
0.3158 0.3158 0.3158 Cu
0.5600 0.0724 0.0724 Cu
0.5671 0.0621 0.5671 Cu
0.5671 0.5671 0.0621 Cu
0.8178 0.8178 0.8178 Cu
```

Principal peaks in the range 2θ = 10–80°, in order of rising 2θ:
d = 2.655 Å, rel. 71; d = 2.265 Å, rel. 100; d = 2.261 Å, rel. 34; d = 2.173 Å, rel. 6; d = 2.166 Å, rel. 22; d = 1.532 Å, rel. 19; d = 1.445 Å, rel. 22; d = 1.444 Å, rel. 15; d = 1.329 Å, rel. 14; d = 1.326 Å, rel. 16


Entry 3:
Starting from a GGA-PBE-relaxed structure, the PXRD pattern of Re2HgSe was simulated for a wavelength of 1.5418 Å.
Neutral-atom scattering factors, no anomalous dispersion.

Crystal structure
```
Re2HgSe
1.0
2.9594 0.0000 0.0000
0.0000 2.9678 0.0000
-1.2677 0.0000 8.5120
Re Hg Se
2 1 1
direct
0.0000 0.0000 0.0000 Re
0.4259 0.5000 0.8048 Re
0.6079 0.5000 0.2491 Hg
0.8201 0.0000 0.6082 Se
```

Principal peaks in the range 2θ = 10–80°, in order of rising 2θ:
d = 8.512 Å, rel. 100; d = 2.597 Å, rel. 23; d = 2.434 Å, rel. 99; d = 2.261 Å, rel. 47; d = 2.206 Å, rel. 40; d = 2.084 Å, rel. 55; d = 2.075 Å, rel. 41; d = 2.051 Å, rel. 27; d = 1.417 Å, rel. 18; d = 1.392 Å, rel. 18


Entry 4:
Starting from a GGA-PBE-relaxed structure, the PXRD pattern of Er3UHg3Te8 was simulated for a wavelength of 1.5418 Å.
Neutral-atom scattering factors, no anomalous dispersion.

Crystal structure
```
Er3UHg3Te8
1.0
7.4615 -4.3067 0.0000
7.4615 4.3067 0.0000
-4.9904 0.0000 8.3221
Er U Hg Te
3 1 3 8
direct
0.0000 0.0000 0.0000 Er
0.0000 0.5000 0.0000 Er
0.5000 0.0000 0.0000 Er
0.5000 0.5000 0.0000 U
0.0000 0.5000 0.5000 Hg
0.5000 0.0000 0.5000 Hg
0.5000 0.5000 0.5000 Hg
0.2376 0.2376 0.2121 Te
0.2458 0.7325 0.2104 Te
-- Back to the page --

As we come to the end of Paul’s Second Missionary Journey, we realize that Paul arrived in Corinth physically and emotionally spent—burned out—and he was in desperate need of rejuvenation. That is exactly what he received when he arrived in Corinth. In this study, we will spend some time examining all the ways that Paul received encouragement and instruction during this difficult time and try to apply some of these same principles to our lives as well.

# Crystal structures, kept here for reference
┌──
# 1
The following is a calculated powder diffractogram of NdHo2Er5Th. It was derived from a PBE-relaxed structure, using CuKα.
Neutral-atom scattering factors, no anomalous dispersion.

Cell and atoms:
```
NdHo2Er5Th
1.0
-4.377 4.377 7.455
4.377 -4.377 7.455
4.377 4.377 -7.455
Nd Ho Er Th
2 4 10 2
direct
0.250 0.750 0.500
0.750 0.250 0.500
0.115 0.615 0.729
0.385 0.115 0.500
0.615 0.885 0.500
0.885 0.385 0.271
0.000 0.000 0.000
0.072 0.157 0.500
0.157 0.657 0.085
0.343 0.428 0.500
0.428 0.928 0.085
0.500 0.500 0.000
0.572 0.072 0.915
0.657 0.572 0.500
0.843 0.343 0.915
0.928 0.843 0.500
0.250 0.250 0.000
0.750 0.750 0.000
```

Largest 6 diffraction maxima, sorted by position, 2θ = 10–80°:
| 2θ (°) | Rel. int. |
| --- | --- |
| 28.85 | 52.5 |
| 29.03 | 45.6 |
| 31.53 | 100.0 |
| 32.34 | 18.8 |
| 43.05 | 22.8 |
| 52.83 | 21.4 |

# 2
The following is a calculated powder diffractogram of Nd2Ho4ErTh. It was derived from a PBE-relaxed structure, using CuKα.
Neutral-atom scattering factors, no anomalous dispersion.

Cell and atoms:
```
Nd2Ho4ErTh
1.0
5.883 0.000 0.000
0.000 5.883 0.000
0.000 0.000 7.464
Nd Ho Er Th
2 4 1 1
direct
0.000 0.000 0.000
0.500 0.500 0.500
0.000 0.500 0.250
0.000 0.500 0.750
0.500 0.000 0.250
0.500 0.000 0.750
0.000 0.000 0.500
0.500 0.500 0.000
```

Largest 6 diffraction maxima, sorted by position, 2θ = 10–80°:
| 2θ (°) | Rel. int. |
| --- | --- |
| 30.39 | 58.3 |
| 32.22 | 100.0 |
| 43.51 | 22.0 |
| 55.17 | 44.1 |
| 58.59 | 18.4 |
| 67.43 | 12.1 |

# 3
The following is a calculated powder diffractogram of NdHoErTl. It was derived from a PBE-relaxed structure, using CuKα.
Neutral-atom scattering factors, no anomalous dispersion.

Cell and atoms:
```
NdHoErTl
1.0
4.832 0.000 0.000
0.000 4.902 0.000
0.000 0.000 4.917
Nd Ho Er Tl
1 1 1 1
direct
0.000 0.000 0.000
0.500 0.500 0.000
0.500 0.000 0.500
0.000 0.500 0.500
```

Largest 6 diffraction maxima, sorted by position, 2θ = 10–80°:
| 2θ (°) | Rel. int. |
| --- | --- |
| 31.74 | 100.0 |
| 36.55 | 17.2 |
| 36.67 | 17.0 |
| 37.21 | 16.3 |
| 53.19 | 23.6 |
| 62.80 | 14.4 |

# 4
The following is a calculated powder diffractogram of Nd6HoErTm2. It was derived from a PBE-relaxed structure, using CuKα.
Neutral-atom scattering factors, no anomalous dispersion.

Cell and atoms:
```
Nd6HoErTm2
1.0
4.626 -7.633 0.000
4.626 7.633 0.000
-1.237 0.000 9.523
Nd Ho Er Tm
12 2 2 4
direct
0.009 0.563 0.187
0.115 0.764 0.554
0.236 0.885 0.946
0.293 0.511 0.382
0.437 0.991 0.313
0.489 0.707 0.118
0.511 0.293 0.882
0.563 0.009 0.687
0.707 0.489 0.618
0.764 0.115 0.054
0.885 0.236 0.446
0.991 0.437 0.813
0.411 0.589 0.750
0.589 0.411 0.250
0.029 0.971 0.250
0.971 0.029 0.750
0.200 0.297 0.047
0.297 0.200 0.547
0.703 0.800 0.453
0.800 0.703 0.953
```

Largest 6 diffraction maxima, sorted by position, 2θ = 10–80°:
| 2θ (°) | Rel. int. |
| --- | --- |
| 28.29 | 41.6 |
| 30.09 | 53.0 |
| 30.49 | 62.7 |
| 30.86 | 36.7 |
| 31.09 | 100.0 |
| 33.64 | 35.3 |

# 5
└──
# End of the crystal structures

Emmulate: Remaining Faithful to God

When writing to the church at Corinth, Paul said, “Be imitators of me, as I am of Christ” (1 Corinthians 11:1). Was Paul a perfect example of Christ? Was Paul able to surpass the example of Jesus in the marathon that his life became? No! But we can say without hesitation that Paul was one of—if not the greatest champion of the faith. Again, he is simply saying, “Do whatever I do, as I attempt to emulate Jesus!” In this passage in 2 Timothy 3, Paul is asking Timothy to remember the way he had lived his life before him and emulate his example.

The Demonstration of the Gospel’s Power

We cannot forget that there is immeasurable power behind the message of the Gospel! The same power that was at work in Philippi is the same power that is at work in and through us. There is power in the Gospel of Jesus Christ. We must be careful not to box God in by our cynicism and lack of faith. Our faith in God rests in the power of the gospel—“for in it the righteousness of God is revealed from faith for faith, as it is written, ‘the righteous shall live by faith’” (Romans 1:17).